
How To Calculate Your Debt To Income Ratio

Find Out Your Debt To Income Ratio

## Data records from another source follow
+++
Entry 1:
A plane-wave DFT calculation with PBE was carried out for an optimized crystal structure of Tb2MgSc.

Lattice parameters (Å, degrees): 3.746 5.437 5.437 90.00 90.00 90.00
Element x y z (fractional)
1 Mg 0.500 0.500 0.500
2 Tb 0.000 0.500 0.000
3 Tb 0.000 0.000 0.500
4 Sc 0.500 0.000 0.000

Summary:
- E: -0.31446 Ry per atom
- Crystal system: tetragonal
- Energy relative to the elements: 0.07 eV/f.u.
- Relative energy among the computed polymorphs: 0.028 eV per atom
- Space group: P4/mmm

Entry 2:
A plane-wave DFT calculation with PBE was carried out for an optimized crystal structure of Pu6Ge2Ru.

Lattice parameters (Å, degrees): 4.934 8.522 8.657 90.00 89.29 90.00
Element x y z (fractional)
1 Pu 0.537 0.481 0.345
2 Pu 0.955 0.314 0.381
3 Pu 0.463 0.519 0.655
4 Pu 0.502 0.848 0.405
5 Pu 0.498 0.152 0.595
6 Pu 0.037 0.019 0.845
7 Pu 0.963 0.981 0.155
8 Pu 0.545 0.814 0.119
9 Pu 0.045 0.686 0.619
10 Pu 0.998 0.348 0.095
11 Pu 0.002 0.652 0.905
12 Pu 0.455 0.186 0.881
13 Ru 0.000 0.000 0.500
14 Ru 0.500 0.500 0.000
15 Ge 0.034 0.661 0.268
16 Ge 0.466 0.161 0.232
17 Ge 0.966 0.339 0.732
18 Ge 0.534 0.839 0.768

Summary:
- E: -0.86746 Ry per atom
- Crystal system: monoclinic
- Energy relative to the elements: -1.72 eV/f.u.
- Space group: P2_1/c

Entry 3:
A plane-wave DFT calculation with PBE was carried out for an optimized crystal structure of RbFeBr2.

Lattice parameters (Å, degrees): 9.698 9.698 9.698 24.17 24.17 24.17
Element x y z (fractional)
1 Fe 0.500 0.500 0.500
2 Br 0.882 0.882 0.882
3 Br 0.118 0.118 0.118
4 Rb 0.000 0.000 0.000

Summary:
- E: -0.26153 Ry per atom
- Crystal system: trigonal
- Relative energy among the computed polymorphs: 0.276 eV per atom
- Space group: R-3m

Entry 4:
A plane-wave DFT calculation with PBE was carried out for an optimized crystal structure of Cs3Pu2InBr9.

Lattice parameters (Å, degrees): 8.461 8.461 10.467 90.00 90.00 120.00
Element x y z (fractional)
1 Cs 0.000 0.000 0.000
2 Cs 0.667 0.333 0.363
3 Cs 0.333 0.667 0.637
4 In 0.000 0.000 0.500
5 Br 0.173 0.345 0.318
6 Br 0.500 0.500 0.000
7 Br 0.827 0.655 0.682
8 Br 0.173 0.827 0.318
9 Br 0.827 0.173 0.682
10 Br 0.500 0.000 0.000
11 Br 0.000 0.500 0.000
12 Br 0.345 0.173 0.682
13 Br 0.655 0.827 0.318
14 Pu 0.667 0.333 0.840
15 Pu 0.333 0.667 0.160

Summary:
- E: -0.35282 Ry per atom
- Crystal system: trigonal
- Space group: P-3m1

Entry 5:
A plane-wave DFT calculation with PBE was carried out for an optimized crystal structure of Ba8AgIrAu2.

Lattice parameters (Å, degrees): 7.864 7.636 9.668 90.00 90.00 89.98
Element x y z (fractional)
1 Au 0.500 0.500 0.245
2 Au 0.500 0.500 0.755
3 Ba 0.332 0.276 0.500
4 Ba 0.830 0.222 0.230
5 Ba 0.170 0.778 0.230
6 Ba 0.690 0.744 0.000
7 Ba 0.170 0.778 0.770
8 Ba 0.310 0.256 0.000
9 Ba 0.668 0.724 0.500
10 Ba 0.830 0.222 0.770
11 Ir 0.000 0.000 0.000
12 Ag 0.000 0.000 0.500

Summary:
- E: -0.23204 Ry per atom
- Crystal system: monoclinic
- Energy relative to the elements: -4.24 eV/f.u.
- Space group: P2/m
+++

Debt counselling can help consumers who have incurred significant debt achieve financial freedom. Some of the warning signs of accumulating debt include:

  • Zero or little monthly savings
  • Relying on your credit card to pay for basic necessities, like food and gas, because very little income remains after paying your bills
  • Worrying about your ability to make minimum monthly payments on your debts
  • Obtaining a cash advance from one credit card to pay another card
  • Constant calls from bill collectors

If any of these things describe your current financial situation, you may be in need of debt counselling.

Another way to determine if you have significant debt is by calculating your debt-to-income ratio. Your DTI is one of the financial benchmarks used by experts to determine your ability to borrow or take up more debt without struggling to repay.

Steps to Calculate Your Debt-to-Income Ratio:

Step 1: Calculate the total cost of debt obligations each month

List monthly recurring debts that may include:

  • Rent or mortgage (principal, interest, insurance, and taxes) or home equity loan payments
  • Student loans
  • Auto loans
  • Minimum credit card payments
  • Furniture loans
  • Alimony or child support payments
  • Any other recurrent debt

If you pay the full credit card balances each month, don’t include them. Also don’t include basic expenses like food, gas, utilities, and taxes.

Step 2: Calculate your household gross monthly income

Simply add up all the amounts you receive every month, including:

Here the page breaks off for materials data >
Computed, not measured: crystalline Cs3Na3As2 at its relaxed geometry at the PBE level of DFT.

Cell: 7.1877 10.3628 17.6865 Å, 90.00 90.00 90.00°
Last column: nearest neighbours and their distance in Å.
Atoms (fractional coordinates):
1 Na 0.3915 0.6441 0.5337  3 As 3.00-3.13
2 Na 0.6085 0.3559 0.0337  3 As 3.00-3.13
3 Na 0.8915 0.8559 0.0337  3 As 3.00-3.13
4 Na 0.4879 0.3686 0.7500  2 As 2.86
5 Na 0.5121 0.6314 0.2500  2 As 2.86
6 Na 0.6085 0.3559 0.4663  3 As 3.00-3.13
7 Na 0.8915 0.8559 0.4663  3 As 3.00-3.13
8 Na 0.0121 0.8686 0.7500  2 As 2.86
9 Na 0.9879 0.1314 0.2500  2 As 2.86
10 Na 0.1085 0.1441 0.9663  3 As 3.00-3.13
11 Na 0.1085 0.1441 0.5337  3 As 3.00-3.13
12 Na 0.3915 0.6441 0.9663  3 As 3.00-3.13
13 As 0.8485 0.1296 0.4015  4 Na 2.86-3.13
14 As 0.3485 0.3704 0.5985  4 Na 2.86-3.13
15 As 0.1515 0.8704 0.5985  4 Na 2.86-3.13
16 As 0.6515 0.6296 0.0985  4 Na 2.86-3.13
17 As 0.6515 0.6296 0.4015  4 Na 2.86-3.13
18 As 0.1515 0.8704 0.9015  4 Na 2.86-3.13
19 As 0.8485 0.1296 0.0985  4 Na 2.86-3.13
20 As 0.3485 0.3704 0.9015  4 Na 2.86-3.13
21 Cs 0.0807 0.2047 0.7500  2 Na 3.38-3.52, 2 As 3.72
22 Cs 0.4193 0.7047 0.7500  2 Na 3.38-3.52, 2 As 3.72
23 Cs 0.8984 0.5546 0.8981  3 As 3.74-4.04, 4 Na 3.79-3.95, 1 Cs 4.05
24 Cs 0.6016 0.0546 0.6019  3 As 3.74-4.04, 4 Na 3.79-3.95, 1 Cs 4.05
25 Cs 0.1016 0.4454 0.3981  3 As 3.74-4.04, 4 Na 3.79-3.95, 1 Cs 4.05
26 Cs 0.6016 0.0546 0.8981  3 As 3.74-4.04, 4 Na 3.79-3.95, 1 Cs 4.05
27 Cs 0.5807 0.2953 0.2500  2 Na 3.38-3.52, 2 As 3.72
28 Cs 0.9193 0.7953 0.2500  2 Na 3.38-3.52, 2 As 3.72
29 Cs 0.1016 0.4454 0.1019  3 As 3.74-4.04, 4 Na 3.79-3.95, 1 Cs 4.05
30 Cs 0.8984 0.5546 0.6019  3 As 3.74-4.04, 4 Na 3.79-3.95, 1 Cs 4.05
31 Cs 0.3984 0.9454 0.1019  3 As 3.74-4.04, 4 Na 3.79-3.95, 1 Cs 4.05
32 Cs 0.3984 0.9454 0.3981  3 As 3.74-4.04, 4 Na 3.79-3.95, 1 Cs 4.05

Values from the calculation:
The calculated density is 3.11 g/cm³. As for the total magnetic moment: 0.0 μB per formula unit. The energy of formation comes out at -0.304 eV per atom. The space-group type is Pnma (62).



Computed, not measured: crystalline CsNa4As4 at its relaxed geometry at the PBE level of DFT.

Cell: 5.7845 9.9036 9.9036 Å, 90.00 90.00 90.00°
Last column: nearest neighbours and their distance in Å.
Atoms (fractional coordinates):
1 Cs 0.0000 0.0000 0.0000  8 As 3.78-4.15, 4 Na 4.02
2 Cs 0.5000 0.5000 0.5000  8 As 3.78-4.15, 4 Na 4.02
3 As 0.8602 0.6750 0.1823  1 As 2.37
4 As 0.8602 0.3250 0.8177  1 As 2.37
5 As 0.6398 0.1750 0.6823  1 As 2.37
6 As 0.3602 0.3177 0.1750  1 As 2.37
7 As 0.6398 0.8250 0.3177  1 As 2.37
8 As 0.3602 0.6823 0.8250  1 As 2.37
9 As 0.1398 0.1823 0.3250  1 As 2.37
10 As 0.1398 0.8177 0.6750  1 As 2.37
11 Na 0.6392 0.1263 0.3643  5 As 2.97-3.19
12 Na 0.6392 0.8737 0.6357  5 As 2.97-3.19
13 Na 0.3608 0.6357 0.1263  5 As 2.97-3.19
14 Na 0.1392 0.1357 0.6263  5 As 2.97-3.19
15 Na 0.8608 0.3737 0.1357  5 As 2.97-3.19
16 Na 0.3608 0.3643 0.8737  5 As 2.97-3.19

  • Gross income (before taxes and deductions)
  • Overtime or bonuses
  • Child support or alimony
  • Other income

Step 3: Calculate your DTI

### Unrelated to this article: data records
/*
DFT (PBE-GGA) results for an optimized crystal structure of NaNp2ReO8.

Properties
E_form (uncorrected): -28.04 eV/f.u.
Uncorrected energy: -8.947 eV/atom

```
data_NaNp2ReO8
_cell_length_a 6.930
_cell_length_b 6.993
_cell_length_c 6.851
_cell_angle_alpha 90.00
_cell_angle_beta 90.00
_cell_angle_gamma 90.00
_space_group_name_H-M_alt 'C m m m'
_space_group_IT_number 65
_space_group_name_Hall '-C 2 2'
loop_
_atom_site_label
_atom_site_type_symbol
_atom_site_fract_x
_atom_site_fract_y
_atom_site_fract_z
_atom_site_occupancy
*/
### So much for the data records

Divide your total cost of monthly payments with your monthly gross income, expressed as a percentage.

Implications of your DTI ratio

If your monthly payments amount to $1,500, and you have a net monthly take-home pay of $3,500, then your debt-to-income ratio is 1500 divided by 3500 which equals .43 – or 43 percent.

A debt-to-income ratio of 36 percent or less is considered a healthy debt load. It means that you can settle all your monthly debts with about one-third (or less) of your monthly income, leaving you with enough for basic needs and even savings. You should, however, avoid incurring more debt.

When to consider debt counselling

Statistics based on the assessment of mortgage loan repayments indicate that borrowers with a high DTI are more likely to have problems making their monthly payments. Consumers with a DTI between 37 and 42 percent should start reducing their debt.

Consumers with debt-to-income ratio of over 43 percent are likely in financial trouble, and should seek solutions to repay and avoid excess debt. At over 50 percent, you should definitely seek professional help from a licensed insolvency trustee.

Speak to an expert today.